**Wanted:**
Say how many lines of the data further below hold the word "Lattice", as a bare number.

**Source:**
........
#1
5
Lattice="4.176 0.000 0.000 0.000 4.176 0.000 2.088 2.088 4.610" Properties=species:S:1:pos:R:3 comment="CrIn2N2 | Alexandria via LeMat-Bulk | PBE | relaxed" vol_a3_per_cell=80 pbc="T T T"
In 2.088 2.088 1.459
In 4.176 4.176 3.151
Cr 0.000 0.000 0.000
N 2.088 4.176 2.305
N 4.176 2.088 2.305

=====

#2
10
Lattice="6.951 0.000 0.000 0.000 6.951 0.000 0.000 0.000 3.114" Properties=species:S:1:pos:R:3 comment="CrIn2N2 | Alexandria via LeMat-Bulk | PBE | relaxed" vol_a3_per_cell=150 pbc="T T T"
In 1.002 2.474 0.000
In 5.949 4.478 0.000
In 4.478 1.002 0.000
In 2.474 5.949 0.000
Cr 3.476 3.476 0.000
Cr 0.000 0.000 0.000
N 1.161 4.636 1.557
N 4.636 5.791 1.557
N 2.315 1.161 1.557
N 5.791 2.315 1.557

=====

Energetically preferred structure: #1 | next structure: +363 meV/atom

=====

#1
5
Lattice="-4.400 -2.738 0.043 2.257 -3.662 -2.310 1.327 -2.062 4.565" Properties=species:S:1:pos:R:3 comment="CrIn2SbN | Alexandria via LeMat-Bulk | PBE | relaxed" vol_a3_per_cell=131 pbc="T T T"
In -2.200 -1.369 0.021
In 0.664 -1.031 2.283
Cr 0.000 0.000 0.000
N -0.408 -4.231 1.149
Sb 1.128 -1.831 -1.155

=====

#2
5
Lattice="5.902 0.000 0.000 0.000 4.905 0.000 0.000 0.000 5.902" Properties=species:S:1:pos:R:3 comment="CrIn2SbN | Alexandria via LeMat-Bulk | PBE | relaxed" vol_a3_per_cell=171 pbc="T T T"
Cr 0.000 2.453 0.000
Sb 0.000 0.000 0.000
N 2.951 2.453 2.951
In 0.000 0.000 2.951
In 2.951 0.000 0.000

=====

Energetically preferred structure: #1 | next structure: +831 meV/atom

=====

#1
5
Lattice="4.668 0.000 0.000 0.000 4.982 0.000 0.000 0.000 4.668" Properties=species:S:1:pos:R:3 comment="Sc2CrInN | Alexandria via LeMat-Bulk | PBE | relaxed" vol_a3_per_cell=109 pbc="T T T"
In 0.000 2.491 0.000
Sc 0.000 0.000 2.334
Sc 2.334 0.000 0.000
Cr 0.000 0.000 0.000
N 2.334 2.491 2.334

=====

#2
5
Lattice="-0.369 4.515 -0.593 -2.421 0.310 3.862 3.211 0.522 1.972" Properties=species:S:1:pos:R:3 comment="Sc2CrInN | Alexandria via LeMat-Bulk | PBE | relaxed" vol_a3_per_cell=79 pbc="T T T"
N 0.000 0.000 0.000
In 0.211 2.673 2.620
Sc -0.185 2.258 -0.297
Sc -1.211 0.155 1.931
Cr 1.606 0.261 0.986

=====

Energetically preferred structure: #2 | next structure: +1957 meV/atom


Ti2CdTc: relaxed, PBE.

Cell lengths 3.1744, 3.1744, 6.7562 Å; angles 90.00, 90.00, 90.00 degrees
Closest atoms and distances in Å follow each position.
Space group P4/mmm (No. 123)
Asymmetric unit:
Ti 0.0000 0.0000 0.2121 x2  4 Tc 2.66, 1 Ti 2.87, 4 Cd 2.97
Cd 0.5000 0.5000 0.5000 x1  8 Ti 2.97, 4 Cd 3.17
Tc 0.5000 0.5000 0.0000 x1  8 Ti 2.66

Values from the calculation:
For the total magnetization, the calculation gives 0.00 μB per formula unit. The total energy comes out at -7.060 eV per atom. The formation energy from the elements is -0.29 eV/atom.

Ti2CdTc: relaxed, PBE.

Cell lengths 7.2088, 7.2088, 5.5959 Å; angles 90.00, 90.00, 90.00 degrees
Closest atoms and distances in Å follow each position.
Space group I-42d (No. 122)
Asymmetric unit:
Ti 0.2104 0.2500 0.1250 x8  2 Tc 2.46
Cd 0.0000 0.0000 0.5000 x4  2 Tc 2.80, 4 Ti 2.85
Tc 0.0000 0.0000 0.0000 x4  4 Ti 2.46

Values from the calculation:
For the total magnetization, the calculation gives 0.00 μB per formula unit. The total energy comes out at -6.482 eV per atom. The formation energy from the elements is 0.29 eV/atom.

TiCd3Tc: relaxed, PBE.

Cell lengths 5.1097, 5.1097, 5.1097 Å; angles 90.00, 90.00, 90.00 degrees
Closest atoms and distances in Å follow each position.
Space group Pm-3m (No. 221)
Asymmetric unit:
Ti 0.0000 0.0000 0.0000 x1  12 Cd 3.61
Cd 0.0000 0.5000 0.5000 x3  2 Tc 2.55
Tc 0.5000 0.5000 0.5000 x1  6 Cd 2.55

Values from the calculation:
For the total magnetization, the calculation gives 1.07 μB per formula unit. The total energy comes out at -2.998 eV per atom. The formation energy from the elements is 1.20 eV/atom.

Ti3CdTc: relaxed, PBE.

Cell lengths 4.7385, 4.7385, 4.7385 Å; angles 90.00, 90.00, 90.00 degrees
Closest atoms and distances in Å follow each position.
Space group Pm-3m (No. 221)
........

**Done:**
6